Assignment
It remains to reproduce the whole of the notes below verbatim.

Contents
+++
1.
A plane-wave DFT calculation with PBE-GGA was carried out for an optimized crystal structure of LiGd2Tl.

## Properties
Formation energy from the elements   -186 meV per atom
Space-group type   Fm-3m (225)
DOS at the Fermi energy   6.13 states/eV per cell

a = 5.3528 Å, b = 5.3528 Å, c = 5.3528 Å
α = 60.00°, β = 60.00°, γ = 60.00°
With the nearest neighbours (Å) after each atom.
Atoms (fractional coordinates):
Gd1 0.5000 0.5000 0.5000  4 Li 3.28, 4 Tl 3.28
Gd2 0.0000 0.0000 0.0000  4 Li 3.28, 4 Tl 3.28
Li1 0.7500 0.7500 0.7500  8 Gd 3.28
Tl1 0.2500 0.2500 0.2500  8 Gd 3.28

---

2.
A plane-wave DFT calculation with PBE-GGA was carried out for an optimized crystal structure of LiGdTl2.

## Properties
Formation energy from the elements   -315 meV per atom
Space-group type   P4/mmm (123)
DOS at the Fermi energy   2.60 states/eV per cell

a = 3.5910 Å, b = 3.5910 Å, c = 7.5206 Å
α = 90.00°, β = 90.00°, γ = 90.00°
With the nearest neighbours (Å) after each atom.
Atoms (fractional coordinates):
Tl1 0.0000 0.0000 0.2147  4 Li 3.01, 1 Tl 3.23, 4 Gd 3.32
Tl2 0.0000 0.0000 0.7853  4 Li 3.01, 1 Tl 3.23, 4 Gd 3.32
Gd1 0.5000 0.5000 0.5000  8 Tl 3.32, 4 Gd 3.59
Li1 0.5000 0.5000 0.0000  8 Tl 3.01

---

3.
A plane-wave DFT calculation with PBE-GGA was carried out for an optimized crystal structure of LiGd2Tl.

## Properties
Formation energy from the elements   -212 meV per atom
Space-group type   P4/mmm (123)
DOS at the Fermi energy   3.07 states/eV per cell

a = 4.2622 Å, b = 4.9958 Å, c = 4.9958 Å
α = 90.00°, β = 90.00°, γ = 90.00°
With the nearest neighbours (Å) after each atom.
Atoms (fractional coordinates):
Li1 0.5000 0.5000 0.5000  8 Gd 3.28, 4 Tl 3.53
Tl1 0.5000 0.0000 0.0000  8 Gd 3.28, 4 Li 3.53
Gd1 0.0000 0.0000 0.5000  4 Li 3.28, 4 Tl 3.28, 4 Gd 3.53
Gd2 0.0000 0.5000 0.0000  4 Tl 3.28, 4 Li 3.28, 4 Gd 3.53

---

4.
A plane-wave DFT calculation with PBE-GGA was carried out for an optimized crystal structure of LiGdTl2.

## Properties
Formation energy from the elements   -328 meV per atom
Space-group type   Fm-3m (225)
DOS at the Fermi energy   2.33 states/eV per cell

a = 5.2150 Å, b = 5.2150 Å, c = 5.2150 Å
α = 60.00°, β = 60.00°, γ = 60.00°
With the nearest neighbours (Å) after each atom.
Atoms (fractional coordinates):
Gd1 0.7500 0.7500 0.7500  8 Tl 3.19
Tl1 0.5000 0.5000 0.5000  4 Li 3.19, 4 Gd 3.19
Tl2 0.0000 0.0000 0.0000  4 Gd 3.19, 4 Li 3.19
Li1 0.2500 0.2500 0.2500  8 Tl 3.19


No. 1
In2Sn3Hg2 | PBE | optimized geometry

Unit cell a=4.923 b=4.923 c=13.949 alpha=69.78 beta=115.13 gamma=140.91
Sites, in units of the cell vectors:
Hg (0.425, 0.714, 0.139)
Sn (0.282, 0.143, 0.425)
Sn (0.718, 0.857, 0.575)
Hg (0.575, 0.286, 0.861)
In (0.847, 0.429, 0.276)
Sn (0.000, 0.000, 0.000)
In (0.153, 0.571, 0.724)

Properties
- formation enthalpy at 0 K (eV/atom) = 0.0373
- crystal system = monoclinic
- ρ (g/cm3) = 8.50
- space-group type = C2/m
- V (Å³ per cell) = 192.9
- magnetization (μB/f.u.) = 0.0

No. 2
Na2TlAsF6 | PBE | optimized geometry

Unit cell a=6.559 b=6.559 c=6.559 alpha=60.00 beta=60.00 gamma=60.00
Sites, in units of the cell vectors:
F (0.222, 0.778, 0.222)
F (0.778, 0.222, 0.222)
As (0.000, 0.000, 0.000)
F (0.222, 0.778, 0.778)
Tl (0.500, 0.500, 0.500)
F (0.222, 0.222, 0.778)
Na (0.750, 0.750, 0.750)
Na (0.250, 0.250, 0.250)
F (0.778, 0.222, 0.778)
F (0.778, 0.778, 0.222)

Properties
- crystal system = cubic
- ρ (g/cm3) = 3.66
- space-group type = Fm-3m
- excess energy over the best structure of this formula in the dataset (kJ per mole of atoms) = 20.95
- V (Å³ per cell) = 199.5
- magnetization (μB/f.u.) = 0.0

No. 3
Sm2TcB10 | PBE | optimized geometry

Unit cell a=4.192 b=5.772 c=11.496 alpha=90.00 beta=90.00 gamma=90.00
Sites, in units of the cell vectors:
B (0.000, 0.437, 0.693)
B (0.000, 0.119, 0.542)
B (0.300, 0.726, 0.381)
B (0.000, 0.063, 0.193)
Sm (0.500, 0.719, 0.133)
B (0.700, 0.226, 0.119)
B (0.000, 0.937, 0.807)
Sm (0.500, 0.219, 0.367)
B (0.000, 0.871, 0.302)
B (0.000, 0.629, 0.802)
+++

Written answer
1.
A plane-wave DFT calculation with PBE-GGA was carried out for an optimized crystal structure of LiGd2Tl.

## Properties
Formation energy from the elements   -186 meV per atom
Space-group type   Fm-3m (225)
DOS at the Fermi energy   6.13 states/eV per cell

a = 5.3528 Å, b = 5.3528 Å, c = 5.3528 Å
α = 60.00°, β = 60.00°, γ = 60.00°
With the nearest neighbours (Å) after each atom.
Atoms (fractional coordinates):
Gd1 0.5000 0.5000 0.5000  4 Li 3.28, 4 Tl 3.28
Gd2 0.0000 0.0000 0.0000  4 Li 3.28, 4 Tl 3.28
Li1 0.7500 0.7500 0.7500  8 Gd 3.28
Tl1 0.2500 0.2500 0.2500  8 Gd 3.28

---

2.
A plane-wave DFT calculation with PBE-GGA was carried out for an optimized crystal structure of LiGdTl2.

## Properties
Formation energy from the elements   -315 meV per atom
Space-group type   P4/mmm (123)
DOS at the Fermi energy   2.60 states/eV per cell

a = 3.5910 Å, b = 3.5910 Å, c = 7.5206 Å
α = 90.00°, β = 90.00°, γ = 90.00°
With the nearest neighbours (Å) after each atom.
Atoms (fractional coordinates):
Tl1 0.0000 0.0000 0.2147  4 Li 3.01, 1 Tl 3.23, 4 Gd 3.32
Tl2 0.0000 0.0000 0.7853  4 Li 3.01, 1 Tl 3.23, 4 Gd 3.32
Gd1 0.5000 0.5000 0.5000  8 Tl 3.32, 4 Gd 3.59
Li1 0.5000 0.5000 0.0000  8 Tl 3.01

---

3.
A plane-wave DFT calculation with PBE-GGA was carried out for an optimized crystal structure of LiGd2Tl.

## Properties
Formation energy from the elements   -212 meV per atom
Space-group type   P4/mmm (123)
DOS at the Fermi energy   3.07 states/eV per cell

a = 4.2622 Å, b = 4.9958 Å, c = 4.9958 Å
α = 90.00°, β = 90.00°, γ = 90.00°
With the nearest neighbours (Å) after each atom.
Atoms (fractional coordinates):
Li1 0.5000 0.5000 0.5000  8 Gd 3.28, 4 Tl 3.53
Tl1 0.5000 0.0000 0.0000  8 Gd 3.28, 4 Li 3.53
Gd1 0.0000 0.0000 0.5000  4 Li 3.28, 4 Tl 3.28, 4 Gd 3.53
Gd2 0.0000 0.5000 0.0000  4 Tl 3.28, 4 Li 3.28, 4 Gd 3.53

---

4.
A plane-wave DFT calculation with PBE-GGA was carried out for an optimized crystal structure of LiGdTl2.

## Properties
Formation energy from the elements   -328 meV per atom
Space-group type   Fm-3m (225)
DOS at the Fermi energy   2.33 states/eV per cell

a = 5.2150 Å, b = 5.2150 Å, c = 5.2150 Å
α = 60.00°, β = 60.00°, γ = 60.00°
With the nearest neighbours (Å) after each atom.
Atoms (fractional coordinates):
Gd1 0.7500 0.7500 0.7500  8 Tl 3.19
Tl1 0.5000 0.5000 0.5000  4 Li 3.19, 4 Gd 3.19
Tl2 0.0000 0.0000 0.0000  4 Gd 3.19, 4 Li 3.19
Li1 0.2500 0.2500 0.2500  8 Tl 3.19


No. 1
In2Sn3Hg2 | PBE | optimized geometry

Unit cell a=4.923 b=4.923 c=13.949 alpha=69.78 beta=115.13 gamma=140.91
Sites, in units of the cell vectors:
Hg (0.425, 0.714, 0.139)
Sn (0.282, 0.143, 0.425)
Sn (0.718, 0.857, 0.575)
Hg (0.575, 0.286, 0.861)
In (0.847, 0.429, 0.276)
Sn (0.000, 0.000, 0.000)
In (0.153, 0.571, 0.724)

Properties
- formation enthalpy at 0 K (eV/atom) = 0.0373
- crystal system = monoclinic
- ρ (g/cm3) = 8.50
- space-group type = C2/m
- V (Å³ per cell) = 192.9
- magnetization (μB/f.u.) = 0.0

No. 2
Na2TlAsF6 | PBE | optimized geometry

Unit cell a=6.559 b=6.559 c=6.559 alpha=60.00 beta=60.00 gamma=60.00
Sites, in units of the cell vectors:
F (0.222, 0.778, 0.222)
F (0.778, 0.222, 0.222)
As (0.000, 0.000, 0.000)
F (0.222, 0.778, 0.778)
Tl (0.500, 0.500, 0.500)
F (0.222, 0.222, 0.778)
Na (0.750, 0.750, 0.750)
Na (0.250, 0.250, 0.250)
F (0.778, 0.222, 0.778)
F (0.778, 0.778, 0.222)

Properties
- crystal system = cubic
- ρ (g/cm3) = 3.66
- space-group type = Fm-3m
- excess energy over the best structure of this formula in the dataset (kJ per mole of atoms) = 20.95
- V (Å³ per cell) = 199.5
- magnetization (μB/f.u.) = 0.0

No. 3
Sm2TcB10 | PBE | optimized geometry

Unit cell a=4.192 b=5.772 c=11.496 alpha=90.00 beta=90.00 gamma=90.00
Sites, in units of the cell vectors:
B (0.000, 0.437, 0.693)
B (0.000, 0.119, 0.542)
B (0.300, 0.726, 0.381)
B (0.000, 0.063, 0.193)
Sm (0.500, 0.719, 0.133)
B (0.700, 0.226, 0.119)
B (0.000, 0.937, 0.807)
Sm (0.500, 0.219, 0.367)
B (0.000, 0.871, 0.302)
B (0.000, 0.629, 0.802)